What to do >
What is needed: reproduce the whole of the lines below character by character.
Excerpt >
~~~
# 1
23
Properties=species:S:1:pos:R:3:forces:R:3 method="wB97M-V/def2-TZVPD" total_charge=+1 lumo_ev=-3.07 fmax_ev_per_a=3.3 e_above_lowest_kj_mol=257.0 e_homo_ev=-12.7 gap_ev=9.669 total_energy_ev=-9437.3082 smiles="C=C(C[C@@H](C)[NH3+])NC"
N 0.67022 -0.92441 1.20451 2.1 0.6 1.6
N 1.23242 0.20190 -1.13988 1.1 0.4 -3.0
C -0.31962 1.55517 -2.41215 -1.3 0.6 -1.1
C -0.70364 -0.66883 0.87184 1.3 -2.2 0.5
C -1.01170 0.37300 -0.12318 -0.6 1.0 -2.0
C -0.25734 0.35668 -1.50522 1.7 -1.7 0.8
C -1.59422 -1.49378 1.36409 -0.5 -0.2 -0.1
C 1.35803 0.17277 1.98318 0.0 1.4 0.4
H 0.36194 1.59095 -3.33802 -1.4 -0.6 1.3
H 1.49675 1.02635 -0.65331 0.7 1.3 0.0
H 0.94926 -1.79560 1.74576 -1.6 1.2 -1.3
H -2.57285 -1.48683 0.99767 -1.5 0.2 -0.4
H -2.06235 0.32776 -0.46603 0.3 -0.1 0.7
H 1.47704 -0.49032 -0.49001 -0.7 -2.1 2.0
H 1.90822 -0.02699 -1.92496 -1.2 1.0 0.6
H -0.44313 -0.60297 -2.01796 -0.4 0.5 0.1
H 1.98353 -0.33059 2.81581 -0.4 1.1 -1.8
H -0.90885 1.32527 0.37574 0.2 0.7 -0.2
H 0.60724 0.80543 2.60912 1.1 -0.9 -1.3
H -0.08825 2.43927 -1.88273 0.8 1.0 1.0
H -1.39706 1.81512 -2.60926 1.0 -0.8 -0.6
H 1.95570 0.94897 1.23578 -1.1 -2.0 2.3
H -1.41470 -2.25835 2.07864 0.5 -0.4 0.6

***

# 2
24
Properties=species:S:1:pos:R:3:forces:R:3 method="wB97M-V/def2-TZVPD" total_charge=+1 lumo_ev=-2.73 fmax_ev_per_a=3.7 e_above_lowest_kj_mol=60.6 e_homo_ev=-14.1 gap_ev=11.361 total_energy_ev=-11485.8323 smiles="C/[NH+]=C(/C)N[C@H](C)CO"
O -0.70449 1.25647 -1.55149 0.7 1.4 -1.2
N -0.10914 -0.76040 -0.17427 0.0 -0.2 -0.7
N 1.88152 0.32305 0.60863 0.6 2.2 -0.2
C -1.88984 0.70269 -1.01188 2.8 -1.8 1.2
C 2.03637 -1.29252 -1.01707 3.4 -0.9 -0.9
C -1.32818 -0.03442 0.28801 0.5 0.4 -0.3
C -2.19265 -1.06306 1.00998 0.1 -0.2 -0.5
C 1.31268 1.42774 1.41661 1.2 -0.2 1.4
C 1.20697 -0.51760 -0.13010 -2.0 -0.1 -0.2
H -0.39733 -1.38496 -0.94557 0.8 0.2 0.7
H -0.86562 2.12915 -1.98148 0.0 -1.1 0.4
H -2.23832 -0.10534 -1.65783 -0.7 0.4 -0.2
H 1.91348 -2.40372 -0.93992 -0.2 1.1 -0.4
H -1.46663 -1.59969 1.65626 -1.0 0.8 0.8
H -2.42559 -1.93800 0.37285 -0.5 0.8 -0.3
H 2.03521 -0.85507 -2.03751 -0.6 -0.7 0.3
H -0.92538 0.68843 0.99417 -0.6 0.2 0.0
H 2.22499 2.04703 1.72741 -1.5 -0.7 -0.5
H -3.12585 -0.55773 1.40237 1.2 -1.1 0.1
H 3.11591 -1.05866 -0.71061 -1.3 -0.9 -0.4
H 0.57334 2.06507 0.83870 0.8 -1.0 1.0
H -2.47869 1.53677 -0.80790 -2.0 0.6 0.6
H 2.86007 0.50255 0.27361 -1.5 -0.6 0.7
H 0.98718 0.89221 2.37702 -0.3 1.4 -1.3

***

# 3
25
Properties=species:S:1:pos:R:3:forces:R:3 method="wB97M-V/def2-TZVPD" total_charge=+1 lumo_ev=-4.39 fmax_ev_per_a=3.4 e_above_lowest_kj_mol=523.6 e_homo_ev=-15.6 gap_ev=11.256 total_energy_ev=-13530.2918 smiles="CC[N+](C)(C)[C@@H](C)[N+](=O)[O-]"
O -2.58456 -0.28488 1.21761 -0.4 -0.2 0.6
O -2.89300 1.19930 -0.31098 -0.5 0.5 -0.2
N -2.34884 0.24463 0.16500 0.5 0.0 -0.4
N 0.21929 -0.09290 0.36854 -2.5 -0.4 -2.2
C -1.51839 -1.80816 -0.85829 -0.1 -0.3 0.1
C 0.21580 -0.97156 1.53036 0.0 -0.7 1.0
C -1.24632 -0.36036 -0.64465 2.1 0.0 1.6
C 1.33131 -0.44153 -0.52494 0.6 -0.2 -0.5
C 0.06405 2.35660 -0.32904 0.0 -0.1 0.0
C 0.28044 1.33200 0.77707 0.1 1.0 0.2
H -0.44522 1.49751 1.57551 0.0 -0.2 0.0
H -0.63454 -0.76845 2.18179 0.1 0.0 -0.2
H -0.97227 2.41576 -0.65100 0.0 0.0 0.0
H 1.33539 -1.50939 -0.72964 -0.1 0.0 0.1
H 2.27932 -0.18417 -0.05332 -0.1 0.0 0.1
H -1.79353 -2.29988 0.07564 0.1 0.1 -0.1
H 1.27689 1.48131 1.20406 -0.1 -0.2 0.1
H -1.05423 0.23880 -1.52937 0.0 0.1 0.2
H 1.13473 -0.80905 2.09743 0.0 0.1 -0.1
H 0.19333 -2.01977 1.22324 0.0 0.2 -0.1
H -2.38056 -1.88108 -1.52699 0.0 0.0 0.0
H -0.69728 -2.33316 -1.33766 0.1 0.1 -0.1
H 0.32521 3.33485 0.06814 0.0 0.0 0.0
H 0.70140 2.18092 -1.19198 0.1 0.0 -0.1
H 1.26540 0.09324 -1.46919 -0.1 0.1 0.1

***

# 4
26
Properties=species:S:1:pos:R:3:forces:R:3 method="wB97M-V/def2-TZVPD" total_charge=+1 lumo_ev="-2.99 / -2.99" fmax_ev_per_a=5.5 e_above_lowest_kj_mol=206.6 e_homo_ev="-12.0 / -12.0" gap_ev="9.002 / 9.003" total_energy_ev=-15576.8209
O 0.26116 -1.87161 0.59216 0.3 1.0 0.4
~~~
Result >
# 1
23
Properties=species:S:1:pos:R:3:forces:R:3 method="wB97M-V/def2-TZVPD" total_charge=+1 lumo_ev=-3.07 fmax_ev_per_a=3.3 e_above_lowest_kj_mol=257.0 e_homo_ev=-12.7 gap_ev=9.669 total_energy_ev=-9437.3082 smiles="C=C(C[C@@H](C)[NH3+])NC"
N 0.67022 -0.92441 1.20451 2.1 0.6 1.6
N 1.23242 0.20190 -1.13988 1.1 0.4 -3.0
C -0.31962 1.55517 -2.41215 -1.3 0.6 -1.1
C -0.70364 -0.66883 0.87184 1.3 -2.2 0.5
C -1.01170 0.37300 -0.12318 -0.6 1.0 -2.0
C -0.25734 0.35668 -1.50522 1.7 -1.7 0.8
C -1.59422 -1.49378 1.36409 -0.5 -0.2 -0.1
C 1.35803 0.17277 1.98318 0.0 1.4 0.4
H 0.36194 1.59095 -3.33802 -1.4 -0.6 1.3
H 1.49675 1.02635 -0.65331 0.7 1.3 0.0
H 0.94926 -1.79560 1.74576 -1.6 1.2 -1.3
H -2.57285 -1.48683 0.99767 -1.5 0.2 -0.4
H -2.06235 0.32776 -0.46603 0.3 -0.1 0.7
H 1.47704 -0.49032 -0.49001 -0.7 -2.1 2.0
H 1.90822 -0.02699 -1.92496 -1.2 1.0 0.6
H -0.44313 -0.60297 -2.01796 -0.4 0.5 0.1
H 1.98353 -0.33059 2.81581 -0.4 1.1 -1.8
H -0.90885 1.32527 0.37574 0.2 0.7 -0.2
H 0.60724 0.80543 2.60912 1.1 -0.9 -1.3
H -0.08825 2.43927 -1.88273 0.8 1.0 1.0
H -1.39706 1.81512 -2.60926 1.0 -0.8 -0.6
H 1.95570 0.94897 1.23578 -1.1 -2.0 2.3
H -1.41470 -2.25835 2.07864 0.5 -0.4 0.6

***

# 2
24
Properties=species:S:1:pos:R:3:forces:R:3 method="wB97M-V/def2-TZVPD" total_charge=+1 lumo_ev=-2.73 fmax_ev_per_a=3.7 e_above_lowest_kj_mol=60.6 e_homo_ev=-14.1 gap_ev=11.361 total_energy_ev=-11485.8323 smiles="C/[NH+]=C(/C)N[C@H](C)CO"
O -0.70449 1.25647 -1.55149 0.7 1.4 -1.2
N -0.10914 -0.76040 -0.17427 0.0 -0.2 -0.7
N 1.88152 0.32305 0.60863 0.6 2.2 -0.2
C -1.88984 0.70269 -1.01188 2.8 -1.8 1.2
C 2.03637 -1.29252 -1.01707 3.4 -0.9 -0.9
C -1.32818 -0.03442 0.28801 0.5 0.4 -0.3
C -2.19265 -1.06306 1.00998 0.1 -0.2 -0.5
C 1.31268 1.42774 1.41661 1.2 -0.2 1.4
C 1.20697 -0.51760 -0.13010 -2.0 -0.1 -0.2
H -0.39733 -1.38496 -0.94557 0.8 0.2 0.7
H -0.86562 2.12915 -1.98148 0.0 -1.1 0.4
H -2.23832 -0.10534 -1.65783 -0.7 0.4 -0.2
H 1.91348 -2.40372 -0.93992 -0.2 1.1 -0.4
H -1.46663 -1.59969 1.65626 -1.0 0.8 0.8
H -2.42559 -1.93800 0.37285 -0.5 0.8 -0.3
H 2.03521 -0.85507 -2.03751 -0.6 -0.7 0.3
H -0.92538 0.68843 0.99417 -0.6 0.2 0.0
H 2.22499 2.04703 1.72741 -1.5 -0.7 -0.5
H -3.12585 -0.55773 1.40237 1.2 -1.1 0.1
H 3.11591 -1.05866 -0.71061 -1.3 -0.9 -0.4
H 0.57334 2.06507 0.83870 0.8 -1.0 1.0
H -2.47869 1.53677 -0.80790 -2.0 0.6 0.6
H 2.86007 0.50255 0.27361 -1.5 -0.6 0.7
H 0.98718 0.89221 2.37702 -0.3 1.4 -1.3

***

# 3
25
Properties=species:S:1:pos:R:3:forces:R:3 method="wB97M-V/def2-TZVPD" total_charge=+1 lumo_ev=-4.39 fmax_ev_per_a=3.4 e_above_lowest_kj_mol=523.6 e_homo_ev=-15.6 gap_ev=11.256 total_energy_ev=-13530.2918 smiles="CC[N+](C)(C)[C@@H](C)[N+](=O)[O-]"
O -2.58456 -0.28488 1.21761 -0.4 -0.2 0.6
O -2.89300 1.19930 -0.31098 -0.5 0.5 -0.2
N -2.34884 0.24463 0.16500 0.5 0.0 -0.4
N 0.21929 -0.09290 0.36854 -2.5 -0.4 -2.2
C -1.51839 -1.80816 -0.85829 -0.1 -0.3 0.1
C 0.21580 -0.97156 1.53036 0.0 -0.7 1.0
C -1.24632 -0.36036 -0.64465 2.1 0.0 1.6
C 1.33131 -0.44153 -0.52494 0.6 -0.2 -0.5
C 0.06405 2.35660 -0.32904 0.0 -0.1 0.0
C 0.28044 1.33200 0.77707 0.1 1.0 0.2
H -0.44522 1.49751 1.57551 0.0 -0.2 0.0
H -0.63454 -0.76845 2.18179 0.1 0.0 -0.2
H -0.97227 2.41576 -0.65100 0.0 0.0 0.0
H 1.33539 -1.50939 -0.72964 -0.1 0.0 0.1
H 2.27932 -0.18417 -0.05332 -0.1 0.0 0.1
H -1.79353 -2.29988 0.07564 0.1 0.1 -0.1
H 1.27689 1.48131 1.20406 -0.1 -0.2 0.1
H -1.05423 0.23880 -1.52937 0.0 0.1 0.2
H 1.13473 -0.80905 2.09743 0.0 0.1 -0.1
H 0.19333 -2.01977 1.22324 0.0 0.2 -0.1
H -2.38056 -1.88108 -1.52699 0.0 0.0 0.0
H -0.69728 -2.33316 -1.33766 0.1 0.1 -0.1
H 0.32521 3.33485 0.06814 0.0 0.0 0.0
H 0.70140 2.18092 -1.19198 0.1 0.0 -0.1
H 1.26540 0.09324 -1.46919 -0.1 0.1 0.1

***

# 4
26
Properties=species:S:1:pos:R:3:forces:R:3 method="wB97M-V/def2-TZVPD" total_charge=+1 lumo_ev="-2.99 / -2.99" fmax_ev_per_a=5.5 e_above_lowest_kj_mol=206.6 e_homo_ev="-12.0 / -12.0" gap_ev="9.002 / 9.003" total_energy_ev=-15576.8209
O 0.26116 -1.87161 0.59216 0.3 1.0 0.4